Practice Essentials
In 1963, Lejeune et al described a syndrome consisting of multiple congenital anomalies, intellectual disability, microcephaly, abnormal face, and a mewing cry in infants with a deletion of a B group chromosome (Bp-), later identified as 5p-. [1]
Cri-du-chat syndrome is an autosomal deletion syndrome caused by a partial deletion of the p arm of chromosome 5 (5p) and is characterized by a distinctive, high-pitched, catlike cry in infancy, with growth failure, microcephaly, facial abnormalities, and intellectual disablity throughout life. [2] See the images below.

In recent years, the application of genetic molecular methods introduced advances in the diagnosis and typification of the cri-du-chat syndrome. [3]
Signs and symptoms of cri-du-chat syndrome
• The piece is interrupted by materials data:
- - -
[1]
Density functional theory data (PBE) for a relaxed LiTlHg5 crystal.

The space group is P4/mmm (No. 123) and the conventional cell measures 4.380, 4.380 and 9.744 Å, with angles of 90.00, 90.00 and 90.00 degrees. The distinct sites, in fractional coordinates, are Li at (0.000, 0.000, 0.000), Tl at (0.500, 0.500, 0.500), Hg at (0.000, 0.500, 0.244) and Hg at (0.500, 0.500, 0.000).

The formation energy comes out at -0.072 eV per atom. Its raw total energy is -0.90 eV/atom. The calculation puts the energy above the most stable polymorph in this dataset at 0.21 eV/f.u. The magnetization comes out at 0.000 Bohr magnetons per cell.

---

[2]
Density functional theory data (PBE) for a relaxed LiTlHg2 crystal.

The space group is F-43m (No. 216) and the conventional cell measures 7.272, 7.272 and 7.272 Å, with angles of 90.00, 90.00 and 90.00 degrees. The distinct sites, in fractional coordinates, are Li at (0.000, 0.000, 0.000), Tl at (0.250, 0.250, 0.250), Hg at (0.000, 0.000, 0.500) and Hg at (0.250, 0.250, 0.750).

The formation energy comes out at -0.114 eV per atom. Its raw total energy is -1.33 eV/atom. The calculation puts the energy above the most stable polymorph in this dataset at 0.26 eV/f.u. The magnetization comes out at 0.000 Bohr magnetons per cell.

---

[3]
Density functional theory data (PBE) for a relaxed LiTl4Hg crystal.

The space group is Cmc2_1 (No. 36) and the conventional cell measures 5.437, 14.288 and 8.588 Å, with angles of 90.00, 90.00 and 90.00 degrees. The distinct sites, in fractional coordinates, are Li at (0.000, 0.161, 0.000), Tl at (0.000, 0.006, 0.271), Tl at (0.000, 0.196, 0.531), Tl at (0.000, 0.334, 0.232), Tl at (0.000, 0.469, 0.529) and Hg at (0.000, 0.335, 0.823).

The formation energy comes out at -0.041 eV per atom. Its raw total energy is -1.99 eV/atom. The calculation puts the energy above the most stable polymorph in this dataset at 0.00 eV/f.u. The magnetization comes out at 0.000 Bohr magnetons per cell.

---

[4]
Density functional theory data (PBE) for a relaxed LiTl3Hg2 crystal.

The space group is Cmmm (No. 65) and the conventional cell measures 5.477, 16.557 and 3.477 Å, with angles of 90.00, 90.00 and 90.00 degrees. The distinct sites, in fractional coordinates, are Li at (0.000, 0.000, 0.000), Tl at (0.000, 0.315, 0.000), Tl at (0.000, 0.500, 0.500) and Hg at (0.000, 0.135, 0.500).

The formation energy comes out at -0.090 eV per atom. Its raw total energy is -1.69 eV/atom. The magnetization comes out at 0.000 Bohr magnetons per cell.

---

Which value of magnetization does entry 1 give?
0.000 Bohr magnetons per cell

~~~~~

Record 1
VASP calculation (meta-GGA SCAN) on a PBEsol-optimized structure of Rb2Hg3Se4.

Values from the calculation:
- SG = No. 72
- DFT total energy (eV/atom) = -36.928
- total magnetization (μB/f.u.) = 0.0
- ΔE_f (raw) (eV per atom) = -0.67

The structure in POSCAR format:
```
Rb2Hg3Se4
1.0
-3.251 5.841 7.127
3.251 -5.841 7.127
3.251 5.841 -7.127
Rb Hg Se
4 6 8
Direct
- - -
Newborns have a characteristic mewing cry, a high-pitched, monochromatic cry that is considered pathognomonic for this syndrome.
Neonatal complications include poor sucking, need for incubator care, respiratory distress, jaundice, pneumonia, and dehydration.
In addition, common neonatal findings include the following:
Low birth weight
Growth retardation
Round face with full cheeks
Epicanthal folds
Down-slanting palpebral fissures
Flat nasal bridge
Down-turned mouth
Low-set ears
Short fingers
Single palmar creases
Cardiac defects
Findings in childhood include the following:
Severe intellectual disability
Developmental delay
Premature graying of the hair
Small, narrow, and often asymmetrical face
Dropped-jaw, open-mouth expression secondary to facial laxity
Short philtrum
Malocclusion of the teeth
Short third-fifth metacarpals
Children with cri-du-chat syndrome also have chronic medical problems such as upper respiratory tract infections, otitis media, severe constipation, and hyperactivity.
Workup in cri-du-chat syndrome
Laboratory tests include the following:
Conventional cytogenetic studies
High-resolution cytogenetic studies
Fluorescence in situ hybridization (FISH)
Chromosome comparative genomic hybridization (CGH)
Microarray CGH
Single-nucleotide polymorphism (SNP)–based prenatal test
Imaging studies include skeletal radiography, magnetic resonance imaging (MRI), and echocardiography.
Management of cri-du-chat syndrome
Care is supportive. No specific treatment is available for cri-du-chat syndrome. [4] Chronic medical problems such as upper respiratory tract infections, otitis media, and severe constipation require appropriate treatment.
Correction of congenital heart defects may be indicated. Medical problems involving minor malformations such as strabismus and clubfoot may be amenable to surgical correction. Orchiopexy may be necessary in patients with undescended testes.
The characteristic cry is perceptually and acoustically similar to the mewing of kittens. This unusual cry is due to structural abnormalities of the larynx (eg, laryngeal hypoplasia) and CNS dysfunction. The laryngeal appearance may be normal or may exhibit marked anatomical abnormalities such as floppy epiglottis, small larynx, and asymmetrical vocal cords. However, the cause of the characteristic cry cannot be entirely ascribed to the larynx. A developmental field may connect the brain and the affected clivus region of the cranial base with the laryngeal region from which the characteristic cry derives. This area of the brain is probably deformed in patients with cri-du-chat syndrome. The characteristic cry usually disappears over time.
Cri-du-chat syndrome is caused by a partial or total deletion of genetic material on the short arm of chromosome 5. The size of the deletion could affect from region 5p15.3 to the complete loss of the short arm. Most of the cases (approximately 80%) are due to a de novo deletion, a little more than 10% of the cases are originated by a parental translocation, and less than 10% are associated with cytogenetic rare aberrations. [5, 6]
Genotype-phenotype studies in cri-du-chat syndrome led to the identification of two separate chromosomal regions, hemizygosity for which is associated with specific phenotypes. [7]
A deletion of 5p15.3 results in the manifestation of a catlike cry, [8] whereas a deletion of 5p15.2 results in the presentation of the other major clinical features of the syndrome. [9] Moreover, a region for speech delay in 5p15.3 has been identified. [10]
United States
The estimated prevalence is about 1 in 50,000 live births. The prevalence among individuals with intellectual disability is about 1.5 in 1000.
With contemporary interventions, the chance of survival to adulthood is possible. Currently, the mortality rate of cri-du-chat syndrome is 6-8% in the overall population.
Pneumonia, aspiration pneumonia, congenital heart defects, and respiratory distress syndrome are the most common causes of death.
A study by Sanders et al indicated that symptoms of primary ciliary dyskinesia (PCD), another disorder traced to chromosome arm 5p, are prevalent in patients with cri-du-chat syndrome. Symptoms associated with PCD found in the cri-du-chat syndrome patients included unexplained neonatal distress (35%), year-round nasal congestion that arose in infancy (32%), and a year-round, wet cough that started in infancy (20%). [11]
A study by Lefranc et al indicated that protein-energy malnutrition is a frequent problem in cri-du-chat syndrome, with a review of questionnaires from 36 families revealing evidence of such malnutrition in 47% of patients. [12]
No racial predilection has been found.
A significant female predominance is observed in affected newborns, with a male-to-female ratio of 0.72:1.
The condition is detected in newborns and infants because of the catlike cry and dysmorphic features.
Infant with cri-du-chat syndrome. Note the round face with full cheeks, hypertelorism, epicanthal folds, and apparently low-set ears.
Child with cri-du-chat syndrome. Note the hypertonicity, small and narrow face, dropped jaw, and open-mouth expression secondary to facial laxity.
Fluorescent in situ hybridization (FISH) study of a patient with cri-du-chat syndrome. FISH photograph shows deletion of a locus-specific probe for the cri-du-chat region. Spectrum orange color represents chromosome 5–specific signal and spectrum green is cri-du-chat locus signal. Absence of a green signal indicates monosomy for that region (left, interphase cell; right, metaphase chromosome spread).
G-banded karyotype [46,XX,del(5)(p13)].
G-banded karyotype of a carrier father [46,XY,t(5;17)(p13.3;p13)].